Uploaded by Fekadu Legesse

Participatory Forest Management Impact Study Proposal

Addis Ababa University
Environmental Science Center
• The Impacts of Participatory Forest Management on Forest
Status, Livelihoods and Local Community Perceptions: the case
of Beleta Gera Forest in Oromia National Regional State
By Fekadu Legesse
December, 2020
Addis Ababa
Forests are providing a wide range of economic, social, environmental and cultural benefits and
According to WBISPP, 2000 Ethiopian forest have been cleared for a long period of time due to
agricultural expansion, exploitation of timber, charcoal, fire wood, urban and industrial expansion
Beleta Gera Forest
 is one of the moist afromontane forests and which was designated as national forest priority area in
Prior to PFM, it was protected by the government and people exploited the forest resources
through illegal cutting, pit sawing and coffee production and management etc.
Beleta Gera Forest
 Is one source of environmental capital for communities living in and around forests on which they
depend for their livelihood activities;
Seen as a source of good agricultural land as well as a source of fuel wood, wood for construction,
and non-timber forest products (NTFPs).
PFM was introduced in the study area to reduce biodiversity loss, forest degradation and
deforestation, to improve the livelihoods of local community in the forest etc.
Statement of the problem
The introductions of PFM in the study area are expected to improve forest
conditions, livelihoods of the local community, and perceptions of the communities
and sustainable management of the forest resources.
However, scientific studies are lacking that assess whether the PFM initiatives in
the study area have achieved their objectives as expected, and to draw lessons that
can be used in the future in applying the experiences to other sites.
In view of this, the study will be designed to assess the contribution of PFM
approach to improving forest status, livelihoods and perceptions of local
And also help in understanding (evaluate) the ecology of the forest and used to
know the changes in different carbon pools under Participatory forest
management scenario.
Objective of the study
General objective
 The general purpose of the study is to investigate role of Participatory Forest
Management on Forest Status, Livelihoods and Local Community Perceptions:
In the case of Beleta Gera forest in Jima Zone.
Specific objective
 To study the change in the composition, structure, regeneration status;
 To determine the carbon stock of the forest at different Pools;
 To assess the role of PFM in livelihoods support/improvements; and
 To assess the perceptions of local community since the implementation of PFM.
Research question
Objective 1 To study the change in the composition, structure, regeneration status:
 What are the dominant woody species compositions of the forest in the study area?
 What is the natural regeneration status of dominant woody species in the study area?
 What is the diversity and plant communities existing in the forest?
Objective 2 To assess the carbon stock of the forest at different Pools:
 How much carbon stored in each forest block in the study area?
 Is there significant difference in carbon stocks in each assessed carbon pools?
 Is there a significance difference between the carbon stocks of the study area as compared
with others forest?
 What are the factors contributing to the difference in carbon storage?
Objective 3 To assess the role of PFM in livelihoods support/improvements:
 Do the income sources diversify due to the adoption of PFM?
 Does the household income level increased as compared to other not adopt PFM?
 Are there household assets significant different?
Objectives 4 To assess the perceptions of local community since the implementation of PFM:
 Are there any factors that influence the community perception of PFM system?
 What is the perception of the local communities of participatory forest management in terms
of benefits, ownership, empowerment and conservation?
Description of the study area
• Belete-Gera forest
 is located in the Gera District and the Shabe Sombo District in the
Oromiya National regional state
 Covered 150,000 ha.
 Its annual precipitation of 1,500 mm and
 an annual average
degrees Celsius.
 The topography of the Belete-Gera is complicated and consists of
undulating hills in the 1,200 to 2,900m range, with steep mountainous
terrain in some places.
Objective 1. To study the change in the composition, structure, regeneration status
Two separate forest patches (PFM and outside PFM) will be identified
Reconnaissance survey will be made
 to obtain an overview of the forests and its structures and compositions, aspects, and
altitudinal range of the forest;
Stratified systematic sampling design will be used
A quadrant of 20m*20m, will be selected and the quadrats were distributed systematically
and, in each quadrat, individual woody plants will be recorded;
The diversity of woody species will be determined & similarity in species composition
between the patches will be computed
The density of the seedlings, saplings and stems will be determined:
Data will be analysed by using Multivariate analysis techniques
[Next to the piece, the page also holds quantum chemistry results]
┌──
<A>
{"formula": "C6H8N2", "method": "wB97M-V/def2-TZVPD", "symbols": ["H", "N", "C", "N", "C", "C", "C", "C", "C", "H", "H", "H", "H", "H", "H", "H"], "positions_angstrom": [[-2.083, 2.125, 0.343], [-2.761, 1.209, -0.090], [-2.162, 0.105, -0.400], [-0.927, -0.390, -0.015], [-0.042, -1.435, -0.620], [1.227, -0.709, 0.275], [2.104, 0.231, -0.130], [2.549, 1.381, -0.633], [0.096, 0.018, 0.946], [-2.675, -0.584, -1.038], [-0.263, -2.481, -0.406], [0.181, -1.293, -1.684], [1.499, -1.730, 0.949], [2.961, 2.583, -0.656], [0.087, -0.321, 2.051], [0.208, 1.291, 1.111]], "molar_mass_g_mol": 108.14, "gap_ev": 9.18, "lumo_energy_ha": 0.021, "smiles": "[H]/N=C\\N1CC(C#C)C1", "homo_energy_ev": -8.6, "total_charge": 0}



<B>
{"formula": "C6H8N2", "method": "wB97M-V/def2-TZVPD", "symbols": ["C", "C", "C", "C", "N", "N", "C", "C", "H", "H", "H", "H", "H", "H", "H", "H"], "positions_angstrom": [[-0.791, 0.421, 0.194], [-1.907, -0.478, 0.590], [0.471, -0.057, -0.456], [1.845, 1.606, 0.612], [1.293, 0.463, 0.642], [-0.115, 0.648, -1.517], [0.643, -1.485, -0.625], [0.825, -2.659, -0.780], [-0.894, 1.455, 0.511], [0.189, 1.622, -1.527], [-2.800, -0.221, 0.001], [-2.150, -0.356, 1.649], [-1.694, -1.528, 0.399], [1.776, 2.320, -0.218], [2.403, 1.945, 1.480], [0.905, -3.698, -0.954]], "molar_mass_g_mol": 108.14, "gap_ev": 9.71, "lumo_energy_ha": 0.035, "homo_energy_ev": -8.8, "total_charge": 0}



<C>
{"formula": "C6H8N2", "method": "wB97M-V/def2-TZVPD", "symbols": ["C", "C", "C", "C", "C", "C", "N", "N", "H", "H", "H", "H", "H", "H", "H", "H"], "positions_angstrom": [[3.422, -0.380, -0.061], [-0.958, 0.638, 0.525], [-2.071, -1.656, 0.014], [0.217, 1.403, -0.036], [-1.344, -0.598, -0.306], [2.352, 0.546, 0.118], [4.391, -0.996, 0.129], [1.195, 0.426, -0.357], [-0.825, 0.392, 1.566], [-1.957, 1.124, 0.538], [-2.338, -2.505, -0.730], [-2.432, -1.767, 1.115], [-0.087, 1.949, -0.966], [0.795, 2.220, 0.607], [-1.023, -0.485, -1.360], [0.663, -0.313, -0.796]], "molar_mass_g_mol": 108.14, "gap_ev": 8.89, "lumo_energy_ha": 0.007, "homo_energy_ev": -8.7, "total_charge": 0}



Quick one: least stable of them? <A>



<A>
{"formula": "C6H8N2", "method": "wB97M-V/def2-TZVPD", "symbols": ["C", "N", "C", "C", "C", "C", "N", "C", "H", "H", "H", "H", "H", "H", "H", "H"], "positions_angstrom": [[-1.346, 1.117, 0.005], [-2.215, 0.049, -0.072], [-1.406, -1.111, -0.018], [-0.135, -0.739, 0.013], [-0.116, 0.692, 0.054], [1.360, 1.195, 0.084], [2.226, -0.046, -0.128], [1.291, -1.196, 0.111], [-1.610, 2.242, -0.032], [-3.282, -0.008, 0.108], [-1.753, -2.156, -0.208], [1.687, 1.649, 1.082], [1.490, 2.008, -0.690], [2.386, 0.025, -1.108], [1.620, -2.047, -0.400], [1.488, -1.480, 1.151]], "molar_mass_g_mol": 108.14, "gap_ev": 9.48, "lumo_energy_ha": 0.036, "smiles": "c1[nH]cc2c1CNC2", "homo_energy_ev": -8.5, "total_charge": 0}



<B>
└──
The vegetation data analysis will be made using agglomerative hierarchical cluster analysis of
R-3.6.1 window versions based on species abundances.
Objective 2 To assess the carbon stock of the forest at different Pools
Two separate forest patches will be identified :
Stratified systematic sampling design will be used & rectangular plots of 10m*20 m
down along transect lines;
All individuals’ trees/shrubs species DBH at 1.3m ≥ 2.5cm will be measured & stems
observed in rectangular plot 10m * 20m will measured;
Non woody herbaceous plants and litter will be collected from 1m*1m sub sample plots
and fresh weight recorded.
Soil samples for fraction of organic carbon and bulk density determination will be
collected from 1m*1m laid sub sample plots at the four corners and at the center of the
sample plot.
All organic layers (litter layer) removed and soil sample taken to 30cm depth by digging
soil pit of 40cm wide.
• Above ground biomass & Below ground biomass will be estimated using
appropriate biomass regression equations for tropical forest
• Non woody herbaceous biomass will be calculated based on dry to fresh
sample analysis in the laboratory & the biomass density (the number of tons of
biomass per hectare) will be calculated using appropriate formul;
• The dry to fresh biomass of the litter collected from sub samples will be
analyzed per plot, hectare and per stratum following appropriate formula;
• Based on carbon fraction, soil depth and bulk density of a soil sample the
amount of carbon per unit area will be calculated by using the appropriate
Objective 3 To assess the role of PFM in livelihoods support/improvements
Two separate forest patches will be identified & survey will be carried out with relevant
experts ;
A structured questionnaire will be prepared to collect the required data on:
 household and demographic characteristics,
 local livelihoods, income level, income sources and asset accumulations,
 aspects of empowerment both in PFM interventions area and outsides (non-PFM).
The users will be selected randomly, & data collected through
 key informants’ interview,
 Focus Group Discussions,
 Local community consultation and participant observation;
The data will be coded and analyzed following the appropriate procedure Like SPSS software etc.
Objective 4 To assess the perceptions of local community since the implementation of PFM
Multi-stage sampling procedure will be used to identify the sample households for the study;
The households will be selected randomly to include members of the study areas.
Both primary and secondary source of data will be used for the study.
Semi-structured questionnaire will be used to collect information on:
households’ demographics and their perceptions of an array of forest management aspects.
Primary data will be collected through
key informant interview, focus group discussion and household survey.
And also secondary data will be collected from published and unpublished material references such
as: books, journals, project reports and maps through review.
The quantitative data will be summarized, and stored using Ms Excel & SPSS software , logistic
regression and others will be used to analyze to determine
 relationship between dependency on the forest resource and
 individual perception , participation and benefit distribution
 the variable associated with the attitude toward the forest management system etc
Work Schedule
Proposal writing
Literature review
Preliminary site survey for object 1-4
Field Work for Data collection for object 1-4
Data entry and analysis for all objects
Paper write-up of the result for object 1-4
Expedition Item
Laboratory analysis
Expense for
Supervisor in the field & lab
8 experts who assist data collection
20 daily labors
Transportation Cost
Rent of vehicle/bycles
Contingency (5%)
Total cost